Activity:
Could you repeat everything further below without altering anything?

Data:
~~~
This record from OMol25 describes a cluster of 2 separate species, C4H4NO2PS in total in a non-equilibrium geometry. The level of theory is ωB97M-V/def2-TZVPD.

Output
Largest force on an atom ... 3.44 eV Å⁻¹
Gap between HOMO and LUMO (alpha / beta) ... 0.221 / 0.214 hartree
E_LUMO (alpha / beta) ... -1.69 / -1.77 eV

Last column: Löwdin charge in e.
Atoms and positions in Å:
C (-0.7065, -2.3309, -0.6100)  -0.476
C (-0.2788, 0.0761, 0.1249)  -0.193
C (-1.2166, -0.9015, -0.4444)  -0.075
C (1.4815, 0.9400, 1.4323)  -0.165
N (0.4647, 0.0576, 1.0981)  -0.032
O (-0.3710, -3.2352, -1.2852)  0.171
O (-1.4964, -2.1469, 0.3818)  0.144
P (0.2285, 2.1284, -1.6048)  0.294
S (-1.3404, 2.5365, -2.6021)  -0.004
H (-2.1062, -0.6940, -0.9378)  0.112
H (1.0961, 1.6813, 2.1573)  0.095
H (1.9293, 1.4786, 0.4616)  0.069
H (2.3158, 0.4102, 1.8284)  0.061

This record from OMol25 describes a structure of composition C8H14GdN2PS in a non-equilibrium geometry. The level of theory is ωB97M-V/def2-TZVPD.

Output
Largest force on an atom ... 2.63 eV Å⁻¹
Multiplicity ... 8
Gap between HOMO and LUMO (alpha / beta) ... 0.157 / 0.125 hartree
Expectation value of S² ... 16.779
E_LUMO (alpha / beta) ... -0.83 / -1.65 eV

Last column: Löwdin charge in e.
Atoms and positions in Å:
C (-0.7765, 0.3325, -3.5332)  -0.238
C (-1.5197, 1.5494, -3.6041)  -0.215
C (-0.6425, 2.6023, -3.2137)  -0.214
C (0.6951, 2.0929, -3.1750)  -0.223
C (0.6092, 0.6723, -3.2867)  -0.237
Gd (-1.0534, -0.5846, 0.6715)  1.014
P (-0.2119, -2.9315, -0.9249)  0.587
H (-1.1591, -0.6785, -3.6134)  0.030
H (-2.5926, 1.6270, -3.7920)  0.056
H (-0.9370, 3.6350, -2.9669)  0.066
H (1.4204, -0.0312, -3.1543)  0.046
H (1.6088, 2.6717, -3.0495)  0.063
H (0.8693, -3.6759, -1.5141)  -0.108
H (-1.2385, -3.6095, -1.6890)  -0.112
H (-0.3294, -3.7174, 0.2866)  -0.150
S (0.5588, 1.3864, 0.3621)  0.555
C (0.5719, 0.8284, 1.9687)  -1.004
N (1.5841, 0.3991, 2.7433)  -0.020
C (1.1415, -0.5472, 3.7865)  -0.146
C (-0.3767, -0.4683, 3.7586)  -0.176
N (-0.5967, 0.4589, 2.6463)  -0.269
H (2.5481, 0.3935, 2.4090)  0.145
H (1.5422, -0.2578, 4.7657)  0.120
H (1.5180, -1.5519, 3.5249)  0.118
H (-0.8525, -0.0128, 4.6292)  0.126
H (-0.8497, -1.4400, 3.5272)  0.093
H (-1.5315, 0.8573, 2.4372)  0.092

This record from OMol25 describes the molecule C16H25NO9 in a non-equilibrium geometry. The level of theory is ωB97M-V/def2-TZVPD.

Output
Largest force on an atom ... 1.07 eV Å⁻¹
Gap between HOMO and LUMO ... 0.376 hartree
E_LUMO ... 0.34 eV
SMILES ... CO[C@H]1[C@@H](OC)C[C@H](O[C@@H]2O[C@@H](CO)[C@H](O)[C@@H](O)[C@H]2O)/C(=C\C#N)[C@@H]1O

Last column: Löwdin charge in e.
Atoms and positions in Å:
C (-3.7947, 3.2783, 0.6159)  -0.083
O (-3.8048, 1.9488, 1.0865)  -0.123
C (-2.6602, 1.2124, 0.7436)  -0.240
C (-2.6711, -0.0967, 1.5440)  -0.275
O (-3.6891, -0.9183, 1.0117)  -0.139
C (-4.2231, -1.8541, 1.9160)  -0.076
C (-1.2903, -0.7612, 1.4326)  -0.019
C (-0.7847, -0.7390, -0.0212)  -0.220
O (0.1862, 0.3178, -0.1618)  -0.051
C (1.2106, 0.0218, -1.0723)  -0.313
O (1.9885, -1.0612, -0.6705)  -0.002
C (2.6737, -0.8583, 0.5580)  -0.234
C (3.4341, -2.1479, 0.8920)  -0.193
O (3.8592, -2.1714, 2.2229)  -0.042
C (3.6152, 0.3469, 0.4330)  -0.265
O (4.2900, 0.5596, 1.6499)  0.002
C (2.7997, 1.5937, 0.0510)  -0.272
O (3.6373, 2.7124, -0.0649)  0.013
C (2.0411, 1.3063, -1.2500)  -0.237
O (3.0062, 1.1747, -2.2642)  0.020
C (-1.9408, -0.4738, -0.9509)  -0.108
C (-2.3377, -1.3335, -1.8917)  -0.016
C (-1.7187, -2.5779, -2.1110)  -0.229
N (-1.2177, -3.5901, -2.3131)  0.164
C (-2.5788, 0.8816, -0.7680)  -0.251
O (-1.8559, 1.8617, -1.4830)  0.002
H (-2.9449, 3.8324, 1.0339)  0.096
H (-3.7430, 3.3248, -0.4750)  0.087
H (-4.7253, 3.7255, 0.9583)  0.092
H (-1.7542, 1.7804, 1.0212)  0.168
H (-2.8958, 0.1375, 2.5940)  0.160
H (-3.4756, -2.5866, 2.2411)  0.088
H (-4.6409, -1.3553, 2.7978)  0.096
H (-5.0175, -2.3696, 1.3806)  0.095
H (-0.5718, -0.2344, 2.0603)  0.133
H (-1.3600, -1.7933, 1.7748)  0.126
H (-0.2913, -1.6863, -0.2662)  0.149
~~~

Solution:
This record from OMol25 describes a cluster of 2 separate species, C4H4NO2PS in total in a non-equilibrium geometry. The level of theory is ωB97M-V/def2-TZVPD.

Output
Largest force on an atom ... 3.44 eV Å⁻¹
Gap between HOMO and LUMO (alpha / beta) ... 0.221 / 0.214 hartree
E_LUMO (alpha / beta) ... -1.69 / -1.77 eV

Last column: Löwdin charge in e.
Atoms and positions in Å:
C (-0.7065, -2.3309, -0.6100)  -0.476
C (-0.2788, 0.0761, 0.1249)  -0.193
C (-1.2166, -0.9015, -0.4444)  -0.075
C (1.4815, 0.9400, 1.4323)  -0.165
N (0.4647, 0.0576, 1.0981)  -0.032
O (-0.3710, -3.2352, -1.2852)  0.171
O (-1.4964, -2.1469, 0.3818)  0.144
P (0.2285, 2.1284, -1.6048)  0.294
S (-1.3404, 2.5365, -2.6021)  -0.004
H (-2.1062, -0.6940, -0.9378)  0.112
H (1.0961, 1.6813, 2.1573)  0.095
H (1.9293, 1.4786, 0.4616)  0.069
H (2.3158, 0.4102, 1.8284)  0.061

This record from OMol25 describes a structure of composition C8H14GdN2PS in a non-equilibrium geometry. The level of theory is ωB97M-V/def2-TZVPD.

Output
Largest force on an atom ... 2.63 eV Å⁻¹
Multiplicity ... 8
Gap between HOMO and LUMO (alpha / beta) ... 0.157 / 0.125 hartree
Expectation value of S² ... 16.779
E_LUMO (alpha / beta) ... -0.83 / -1.65 eV

Last column: Löwdin charge in e.
Atoms and positions in Å:
C (-0.7765, 0.3325, -3.5332)  -0.238
C (-1.5197, 1.5494, -3.6041)  -0.215
C (-0.6425, 2.6023, -3.2137)  -0.214
C (0.6951, 2.0929, -3.1750)  -0.223
C (0.6092, 0.6723, -3.2867)  -0.237
Gd (-1.0534, -0.5846, 0.6715)  1.014
P (-0.2119, -2.9315, -0.9249)  0.587
H (-1.1591, -0.6785, -3.6134)  0.030
H (-2.5926, 1.6270, -3.7920)  0.056
H (-0.9370, 3.6350, -2.9669)  0.066
H (1.4204, -0.0312, -3.1543)  0.046
H (1.6088, 2.6717, -3.0495)  0.063
H (0.8693, -3.6759, -1.5141)  -0.108
H (-1.2385, -3.6095, -1.6890)  -0.112
H (-0.3294, -3.7174, 0.2866)  -0.150
S (0.5588, 1.3864, 0.3621)  0.555
C (0.5719, 0.8284, 1.9687)  -1.004
N (1.5841, 0.3991, 2.7433)  -0.020
C (1.1415, -0.5472, 3.7865)  -0.146
C (-0.3767, -0.4683, 3.7586)  -0.176
N (-0.5967, 0.4589, 2.6463)  -0.269
H (2.5481, 0.3935, 2.4090)  0.145
H (1.5422, -0.2578, 4.7657)  0.120
H (1.5180, -1.5519, 3.5249)  0.118
H (-0.8525, -0.0128, 4.6292)  0.126
H (-0.8497, -1.4400, 3.5272)  0.093
H (-1.5315, 0.8573, 2.4372)  0.092

This record from OMol25 describes the molecule C16H25NO9 in a non-equilibrium geometry. The level of theory is ωB97M-V/def2-TZVPD.

Output
Largest force on an atom ... 1.07 eV Å⁻¹
Gap between HOMO and LUMO ... 0.376 hartree
E_LUMO ... 0.34 eV
SMILES ... CO[C@H]1[C@@H](OC)C[C@H](O[C@@H]2O[C@@H](CO)[C@H](O)[C@@H](O)[C@H]2O)/C(=C\C#N)[C@@H]1O

Last column: Löwdin charge in e.
Atoms and positions in Å:
C (-3.7947, 3.2783, 0.6159)  -0.083
O (-3.8048, 1.9488, 1.0865)  -0.123
C (-2.6602, 1.2124, 0.7436)  -0.240
C (-2.6711, -0.0967, 1.5440)  -0.275
O (-3.6891, -0.9183, 1.0117)  -0.139
C (-4.2231, -1.8541, 1.9160)  -0.076
C (-1.2903, -0.7612, 1.4326)  -0.019
C (-0.7847, -0.7390, -0.0212)  -0.220
O (0.1862, 0.3178, -0.1618)  -0.051
C (1.2106, 0.0218, -1.0723)  -0.313
O (1.9885, -1.0612, -0.6705)  -0.002
C (2.6737, -0.8583, 0.5580)  -0.234
C (3.4341, -2.1479, 0.8920)  -0.193
O (3.8592, -2.1714, 2.2229)  -0.042
C (3.6152, 0.3469, 0.4330)  -0.265
O (4.2900, 0.5596, 1.6499)  0.002
C (2.7997, 1.5937, 0.0510)  -0.272
O (3.6373, 2.7124, -0.0649)  0.013
C (2.0411, 1.3063, -1.2500)  -0.237
O (3.0062, 1.1747, -2.2642)  0.020
C (-1.9408, -0.4738, -0.9509)  -0.108
C (-2.3377, -1.3335, -1.8917)  -0.016
C (-1.7187, -2.5779, -2.1110)  -0.229
N (-1.2177, -3.5901, -2.3131)  0.164
C (-2.5788, 0.8816, -0.7680)  -0.251
O (-1.8559, 1.8617, -1.4830)  0.002
H (-2.9449, 3.8324, 1.0339)  0.096
H (-3.7430, 3.3248, -0.4750)  0.087
H (-4.7253, 3.7255, 0.9583)  0.092
H (-1.7542, 1.7804, 1.0212)  0.168
H (-2.8958, 0.1375, 2.5940)  0.160
H (-3.4756, -2.5866, 2.2411)  0.088
H (-4.6409, -1.3553, 2.7978)  0.096
H (-5.0175, -2.3696, 1.3806)  0.095
H (-0.5718, -0.2344, 2.0603)  0.133
H (-1.3600, -1.7933, 1.7748)  0.126
H (-0.2913, -1.6863, -0.2662)  0.149